Exercise:
Return only the last part of the entries further below, starting with the line that has "[[6.670, 0.000,".

Excerpt:
{"formula": "NiAuI2O", "functional": "GGA+U", "state": "optimized geometry", "lattice": [[5.836, 0.000, 0.000], [0.000, 5.836, 0.000], [0.000, 0.000, 3.474]], "species": ["Ni", "Au", "I", "I", "O"], "frac_coords": [[0.000, 0.000, 0.000], [0.500, 0.500, 0.500], [0.000, 0.500, 0.000], [0.500, 0.000, 0.000], [0.000, 0.000, 0.500]], "total_energy_ev_per_atom": -2.5187}

~~~~~

{
  "formula": "La2Ti2Ir",
  "functional": "PBE-GGA",
  "state": "optimized geometry",
  "delta_e_f_kj_per_mol_fu": -73.8,
  "final_energy_ev_per_atom": -7.054,
  "cell": [[6.670, 0.000, 0.000], [0.000, 6.670, 0.000], [0.000, 0.000, 5.287]],
  "species": ["La", "La", "La", "La", "Ti", "Ti", "Ti", "Ti", "Ir", "Ir"],
  "frac_coords": [[0.171, 0.329, 0.000], [0.329, 0.829, 0.000], [0.671, 0.171, 0.000], [0.829, 0.671, 0.000], [0.153, 0.653, 0.500], [0.347, 0.153, 0.500], [0.653, 0.847, 0.500], [0.847, 0.347, 0.500], [0.000, 0.000, 0.500], [0.500, 0.500, 0.500]]
}

***

{
  "formula": "TiGa3Ru3",
  "functional": "PBE-GGA",
  "state": "optimized geometry",
  "delta_e_f_kj_per_mol_fu": -308.2,
  "final_energy_ev_per_atom": -6.857,
  "cell": [[4.213, -4.313, 0.000], [4.213, 4.313, 0.000], [0.000, 0.000, 5.976]],
  "species": ["Ti", "Ti", "Ga", "Ga", "Ga", "Ga", "Ga", "Ga", "Ru", "Ru", "Ru", "Ru", "Ru", "Ru"],
  "frac_coords": [[0.244, 0.244, 0.000], [0.756, 0.756, 0.000], [0.250, 0.750, 0.000], [0.254, 0.746, 0.500], [0.264, 0.264, 0.500], [0.736, 0.736, 0.500], [0.746, 0.254, 0.500], [0.750, 0.250, 0.000], [0.000, 0.000, 0.256], [0.000, 0.000, 0.744], [0.000, 0.500, 0.254], [0.000, 0.500, 0.746], [0.500, 0.000, 0.254], [0.500, 0.000, 0.746]]
}

***

{
  "formula": "ZrSc3Sb",
  "functional": "PBE-GGA",
  "state": "optimized geometry",
  "e_form_raw_kj_per_mol_fu": 278,
  "final_energy_ev_per_atom": -5.758,
  "cell": [[5.145, 0.000, 0.000], [0.000, 5.145, 0.000], [0.000, 0.000, 5.145]],
  "species": ["Zr", "Sc", "Sc", "Sc", "Sb"],
  "frac_coords": [[0.000, 0.000, 0.000], [0.000, 0.000, 0.500], [0.000, 0.500, 0.000], [0.500, 0.000, 0.000], [0.500, 0.500, 0.500]]
}

***

{
  "formula": "CoPtIN2",
  "functional": "PBE-GGA",
  "state": "optimized geometry",
  "e_form_raw_kj_per_mol_fu": 604,
  "final_energy_ev_per_atom": -5.018,
  "cell": [[3.642, 0.000, 0.000], [0.000, 3.642, 0.000], [0.000, 0.000, 8.018]],
  "species": ["Co", "Pt", "I", "N", "N"],
  "frac_coords": [[0.000, 0.000, 0.000], [0.500, 0.500, 0.500], [0.000, 0.000, 0.500], [0.000, 0.500, 0.000], [0.500, 0.000, 0.000]]
}

***

{
  "formula": "Na3TlAg2Br6",
  "functional": "PBE-GGA",
  "state": "optimized geometry",
  "e_form_raw_kj_per_mol_fu": -1155,
  "final_energy_ev_per_atom": -2.836,
  "cell": [[10.012, -2.117, 0.000], [10.012, 2.117, 0.000], [-2.115, 0.000, 8.313]],
  "species": ["Na", "Na", "Na", "Tl", "Ag", "Ag", "Br", "Br", "Br", "Br", "Br", "Br"],
  "frac_coords": [[0.000, 0.000, 0.000], [0.329, 0.329, 0.680], [0.671, 0.671, 0.320], [0.000, 0.000, 0.500], [0.312, 0.312, 0.165], [0.688, 0.688, 0.835], [0.165, 0.165, 0.049], [0.177, 0.177, 0.598], [0.478, 0.478, 0.765], [0.522, 0.522, 0.235], [0.823, 0.823, 0.402], [0.835, 0.835, 0.951]]
}

***

{
  "formula": "MnAu2Br",
  "functional": "PBE-GGA",
  "state": "optimized geometry",
  "e_form_raw_kj_per_mol_fu": 74,
  "final_energy_ev_per_atom": -4.158,
  "cell": [[2.724, -5.802, 0.000], [2.724, 5.802, 0.000], [-2.679, 0.000, 2.723]],
  "species": ["Mn", "Au", "Au", "Br"],
  "frac_coords": [[0.000, 0.000, 0.000], [0.000, 0.500, 0.500], [0.500, 0.000, 0.500], [0.500, 0.500, 0.000]]
}

Completed:
  "cell": [[6.670, 0.000, 0.000], [0.000, 6.670, 0.000], [0.000, 0.000, 5.287]],
  "species": ["La", "La", "La", "La", "Ti", "Ti", "Ti", "Ti", "Ir", "Ir"],
  "frac_coords": [[0.171, 0.329, 0.000], [0.329, 0.829, 0.000], [0.671, 0.171, 0.000], [0.829, 0.671, 0.000], [0.153, 0.653, 0.500], [0.347, 0.153, 0.500], [0.653, 0.847, 0.500], [0.847, 0.347, 0.500], [0.000, 0.000, 0.500], [0.500, 0.500, 0.500]]
}

***

{
  "formula": "TiGa3Ru3",
  "functional": "PBE-GGA",
  "state": "optimized geometry",
  "delta_e_f_kj_per_mol_fu": -308.2,
  "final_energy_ev_per_atom": -6.857,
  "cell": [[4.213, -4.313, 0.000], [4.213, 4.313, 0.000], [0.000, 0.000, 5.976]],
  "species": ["Ti", "Ti", "Ga", "Ga", "Ga", "Ga", "Ga", "Ga", "Ru", "Ru", "Ru", "Ru", "Ru", "Ru"],
  "frac_coords": [[0.244, 0.244, 0.000], [0.756, 0.756, 0.000], [0.250, 0.750, 0.000], [0.254, 0.746, 0.500], [0.264, 0.264, 0.500], [0.736, 0.736, 0.500], [0.746, 0.254, 0.500], [0.750, 0.250, 0.000], [0.000, 0.000, 0.256], [0.000, 0.000, 0.744], [0.000, 0.500, 0.254], [0.000, 0.500, 0.746], [0.500, 0.000, 0.254], [0.500, 0.000, 0.746]]
}

***

{
  "formula": "ZrSc3Sb",
  "functional": "PBE-GGA",
  "state": "optimized geometry",
  "e_form_raw_kj_per_mol_fu": 278,
  "final_energy_ev_per_atom": -5.758,
  "cell": [[5.145, 0.000, 0.000], [0.000, 5.145, 0.000], [0.000, 0.000, 5.145]],
  "species": ["Zr", "Sc", "Sc", "Sc", "Sb"],
  "frac_coords": [[0.000, 0.000, 0.000], [0.000, 0.000, 0.500], [0.000, 0.500, 0.000], [0.500, 0.000, 0.000], [0.500, 0.500, 0.500]]
}

***

{
  "formula": "CoPtIN2",
  "functional": "PBE-GGA",
  "state": "optimized geometry",
  "e_form_raw_kj_per_mol_fu": 604,
  "final_energy_ev_per_atom": -5.018,
  "cell": [[3.642, 0.000, 0.000], [0.000, 3.642, 0.000], [0.000, 0.000, 8.018]],
  "species": ["Co", "Pt", "I", "N", "N"],
  "frac_coords": [[0.000, 0.000, 0.000], [0.500, 0.500, 0.500], [0.000, 0.000, 0.500], [0.000, 0.500, 0.000], [0.500, 0.000, 0.000]]
}

***

{
  "formula": "Na3TlAg2Br6",
  "functional": "PBE-GGA",
  "state": "optimized geometry",
  "e_form_raw_kj_per_mol_fu": -1155,
  "final_energy_ev_per_atom": -2.836,
  "cell": [[10.012, -2.117, 0.000], [10.012, 2.117, 0.000], [-2.115, 0.000, 8.313]],
  "species": ["Na", "Na", "Na", "Tl", "Ag", "Ag", "Br", "Br", "Br", "Br", "Br", "Br"],
  "frac_coords": [[0.000, 0.000, 0.000], [0.329, 0.329, 0.680], [0.671, 0.671, 0.320], [0.000, 0.000, 0.500], [0.312, 0.312, 0.165], [0.688, 0.688, 0.835], [0.165, 0.165, 0.049], [0.177, 0.177, 0.598], [0.478, 0.478, 0.765], [0.522, 0.522, 0.235], [0.823, 0.823, 0.402], [0.835, 0.835, 0.951]]
}

***

{
  "formula": "MnAu2Br",
  "functional": "PBE-GGA",
  "state": "optimized geometry",
  "e_form_raw_kj_per_mol_fu": 74,
  "final_energy_ev_per_atom": -4.158,
  "cell": [[2.724, -5.802, 0.000], [2.724, 5.802, 0.000], [-2.679, 0.000, 2.723]],
  "species": ["Mn", "Au", "Au", "Br"],
  "frac_coords": [[0.000, 0.000, 0.000], [0.000, 0.500, 0.500], [0.500, 0.000, 0.500], [0.500, 0.500, 0.000]]
}